**Contents**
********
# 1
A plane-wave DFT calculation with GGA-PBE was carried out for a geometry-optimized Ta2BC structure.

Values from the calculation:
- N(E_F): 1.5 states/eV/f.u.
- Formation energy from the elements: -665.1 meV/atom
- Total energy: -84.5 eV per cell
- Energy above the lowest structure with this stoichiometry: 0.000 eV per atom

Lattice parameters (Å, degrees): 3.1477 3.2160 9.2215 100.04 90.00 90.00
Last column: nearest neighbours and their distance in Å.
Positions (direct):
Ta 0.2500 0.3082 0.6165  5 C 2.15-2.25
C 0.7500 0.8104 0.6208  6 Ta 2.14-2.25
B 0.2500 0.4737 0.9474  2 B 1.84
C 0.2500 0.1896 0.3792  6 Ta 2.14-2.25
B 0.7500 0.5263 0.0526  2 B 1.84
Ta 0.2500 0.0720 0.1440  1 C 2.14
Ta 0.7500 0.9280 0.8560  1 C 2.14
Ta 0.7500 0.6918 0.3835  5 C 2.15-2.25


# 2
A plane-wave DFT calculation with GGA-PBE was carried out for a geometry-optimized Ta4B2C structure.

Values from the calculation:
- N(E_F): 3.2 states/eV/f.u.
- Formation energy from the elements: 73.2 meV/atom
- Total energy: -69.5 eV per cell

Lattice parameters (Å, degrees): 4.3483 4.3483 6.0422 111.09 111.09 90.00
Last column: nearest neighbours and their distance in Å.
Positions (direct):
Ta 0.7777 0.7777 0.5554  1 B 2.10, 1 C 2.31
Ta 0.5000 0.0000 0.0000  2 C 2.17, 4 B 2.31
Ta 0.0000 0.5000 0.0000  2 C 2.17, 4 B 2.31
B 0.5757 0.5757 0.1515  1 B 1.58
B 0.4243 0.4243 0.8485  1 B 1.58
Ta 0.2223 0.2223 0.4446  1 B 2.10, 1 C 2.31
C 0.0000 0.0000 0.0000  6 Ta 2.17-2.31


# 3
A plane-wave DFT calculation with GGA-PBE was carried out for a geometry-optimized Ta2BC structure.

Values from the calculation:
- N(E_F): 1.2 states/eV/f.u.
- Formation energy from the elements: -608.6 meV/atom
- Total energy: -42.0 eV per cell
- Energy above the lowest structure with this stoichiometry: 0.056 eV per atom

Lattice parameters (Å, degrees): 3.2066 3.2066 5.5775 73.29 73.29 60.00
Last column: nearest neighbours and their distance in Å.
Positions (direct):
C 0.0000 0.0000 0.0000  6 Ta 2.26
Ta 0.7488 0.7488 0.7535  3 C 2.26, 3 B 2.28
Ta 0.2512 0.2512 0.2465  3 C 2.26, 3 B 2.28
B 0.5000 0.5000 0.5000  6 Ta 2.28


# 4
A plane-wave DFT calculation with GGA-PBE was carried out for a geometry-optimized Ta3BC structure.

Values from the calculation:
- N(E_F): 1.6 states/eV/f.u.
- Formation energy from the elements: -307.8 meV/atom
- Total energy: -106.0 eV per cell
- Energy above the lowest structure with this stoichiometry: 0.000 eV per atom

Lattice parameters (Å, degrees): 3.2603 5.4741 7.4049 90.00 90.00 90.00
Last column: nearest neighbours and their distance in Å.
Positions (direct):
C 0.2500 0.2500 0.5839  6 Ta 2.24-2.30
Ta 0.2500 0.2500 0.9440  2 B 2.31
Ta 0.7500 0.7500 0.0560  2 B 2.31
Ta 0.2500 0.4940 0.3308  3 C 2.24-2.30, 2 B 2.44
B 0.7500 0.2500 0.1641  6 Ta 2.31-2.44
Ta 0.7500 0.9940 0.6692  3 C 2.24-2.30, 2 B 2.44
Ta 0.7500 0.5060 0.6692  3 C 2.24-2.30, 2 B 2.44
Ta 0.2500 0.0060 0.3308  3 C 2.24-2.30, 2 B 2.44
C 0.7500 0.7500 0.4161  6 Ta 2.24-2.30
B 0.2500 0.7500 0.8359  6 Ta 2.31-2.44


# 5
A plane-wave DFT calculation with GGA-PBE was carried out for a geometry-optimized Ta4BC structure.

Values from the calculation:
- N(E_F): 3.9 states/eV/f.u.
- Formation energy from the elements: -498.9 meV/atom
- Total energy: -66.3 eV per cell
- Energy above the lowest structure with this stoichiometry: 0.000 eV per atom

Lattice parameters (Å, degrees): 3.1432 5.0129 5.4717 90.47 90.00 90.00
Last column: nearest neighbours and their distance in Å.
Positions (direct):
Ta 0.0000 0.7409 0.6679  1 C 2.22, 2 B 2.24
B 0.5000 0.0000 0.5000  6 Ta 2.23-2.24
Ta 0.0000 0.2591 0.3321  1 C 2.22, 2 B 2.24
C 0.0000 0.0000 0.0000  6 Ta 2.21-2.22
Ta 0.5000 0.2523 0.8379  2 C 2.21, 1 B 2.23
Ta 0.5000 0.7477 0.1621  2 C 2.21, 1 B 2.23


# 6
A plane-wave DFT calculation with GGA-PBE was carried out for a geometry-optimized Ta3BC structure.

Values from the calculation:
- N(E_F): 9.6 states/eV/f.u.
- Formation energy from the elements: 538.1 meV/atom
- Total energy: -48.8 eV per cell
********
**Assignment**
What is needed: transcribe the data earlier on exactly.
**Outcome**
# 1
A plane-wave DFT calculation with GGA-PBE was carried out for a geometry-optimized Ta2BC structure.

Values from the calculation:
- N(E_F): 1.5 states/eV/f.u.
- Formation energy from the elements: -665.1 meV/atom
- Total energy: -84.5 eV per cell
- Energy above the lowest structure with this stoichiometry: 0.000 eV per atom

Lattice parameters (Å, degrees): 3.1477 3.2160 9.2215 100.04 90.00 90.00
Last column: nearest neighbours and their distance in Å.
Positions (direct):
Ta 0.2500 0.3082 0.6165  5 C 2.15-2.25
C 0.7500 0.8104 0.6208  6 Ta 2.14-2.25
B 0.2500 0.4737 0.9474  2 B 1.84
C 0.2500 0.1896 0.3792  6 Ta 2.14-2.25
B 0.7500 0.5263 0.0526  2 B 1.84
Ta 0.2500 0.0720 0.1440  1 C 2.14
Ta 0.7500 0.9280 0.8560  1 C 2.14
Ta 0.7500 0.6918 0.3835  5 C 2.15-2.25


# 2
A plane-wave DFT calculation with GGA-PBE was carried out for a geometry-optimized Ta4B2C structure.

Values from the calculation:
- N(E_F): 3.2 states/eV/f.u.
- Formation energy from the elements: 73.2 meV/atom
- Total energy: -69.5 eV per cell

Lattice parameters (Å, degrees): 4.3483 4.3483 6.0422 111.09 111.09 90.00
Last column: nearest neighbours and their distance in Å.
Positions (direct):
Ta 0.7777 0.7777 0.5554  1 B 2.10, 1 C 2.31
Ta 0.5000 0.0000 0.0000  2 C 2.17, 4 B 2.31
Ta 0.0000 0.5000 0.0000  2 C 2.17, 4 B 2.31
B 0.5757 0.5757 0.1515  1 B 1.58
B 0.4243 0.4243 0.8485  1 B 1.58
Ta 0.2223 0.2223 0.4446  1 B 2.10, 1 C 2.31
C 0.0000 0.0000 0.0000  6 Ta 2.17-2.31


# 3
A plane-wave DFT calculation with GGA-PBE was carried out for a geometry-optimized Ta2BC structure.

Values from the calculation:
- N(E_F): 1.2 states/eV/f.u.
- Formation energy from the elements: -608.6 meV/atom
- Total energy: -42.0 eV per cell
- Energy above the lowest structure with this stoichiometry: 0.056 eV per atom

Lattice parameters (Å, degrees): 3.2066 3.2066 5.5775 73.29 73.29 60.00
Last column: nearest neighbours and their distance in Å.
Positions (direct):
C 0.0000 0.0000 0.0000  6 Ta 2.26
Ta 0.7488 0.7488 0.7535  3 C 2.26, 3 B 2.28
Ta 0.2512 0.2512 0.2465  3 C 2.26, 3 B 2.28
B 0.5000 0.5000 0.5000  6 Ta 2.28


# 4
A plane-wave DFT calculation with GGA-PBE was carried out for a geometry-optimized Ta3BC structure.

Values from the calculation:
- N(E_F): 1.6 states/eV/f.u.
- Formation energy from the elements: -307.8 meV/atom
- Total energy: -106.0 eV per cell
- Energy above the lowest structure with this stoichiometry: 0.000 eV per atom

Lattice parameters (Å, degrees): 3.2603 5.4741 7.4049 90.00 90.00 90.00
Last column: nearest neighbours and their distance in Å.
Positions (direct):
C 0.2500 0.2500 0.5839  6 Ta 2.24-2.30
Ta 0.2500 0.2500 0.9440  2 B 2.31
Ta 0.7500 0.7500 0.0560  2 B 2.31
Ta 0.2500 0.4940 0.3308  3 C 2.24-2.30, 2 B 2.44
B 0.7500 0.2500 0.1641  6 Ta 2.31-2.44
Ta 0.7500 0.9940 0.6692  3 C 2.24-2.30, 2 B 2.44
Ta 0.7500 0.5060 0.6692  3 C 2.24-2.30, 2 B 2.44
Ta 0.2500 0.0060 0.3308  3 C 2.24-2.30, 2 B 2.44
C 0.7500 0.7500 0.4161  6 Ta 2.24-2.30
B 0.2500 0.7500 0.8359  6 Ta 2.31-2.44


# 5
A plane-wave DFT calculation with GGA-PBE was carried out for a geometry-optimized Ta4BC structure.

Values from the calculation:
- N(E_F): 3.9 states/eV/f.u.
- Formation energy from the elements: -498.9 meV/atom
- Total energy: -66.3 eV per cell
- Energy above the lowest structure with this stoichiometry: 0.000 eV per atom

Lattice parameters (Å, degrees): 3.1432 5.0129 5.4717 90.47 90.00 90.00
Last column: nearest neighbours and their distance in Å.
Positions (direct):
Ta 0.0000 0.7409 0.6679  1 C 2.22, 2 B 2.24
B 0.5000 0.0000 0.5000  6 Ta 2.23-2.24
Ta 0.0000 0.2591 0.3321  1 C 2.22, 2 B 2.24
C 0.0000 0.0000 0.0000  6 Ta 2.21-2.22
Ta 0.5000 0.2523 0.8379  2 C 2.21, 1 B 2.23
Ta 0.5000 0.7477 0.1621  2 C 2.21, 1 B 2.23


# 6
A plane-wave DFT calculation with GGA-PBE was carried out for a geometry-optimized Ta3BC structure.

Values from the calculation:
- N(E_F): 9.6 states/eV/f.u.
- Formation energy from the elements: 538.1 meV/atom
- Total energy: -48.8 eV per cell